Contents >
# PBE Sr6La4Mg2Ru3O20, relaxed
data_Sr6La4Mg2Ru3O20
_cell_length_a 3.958
_cell_length_b 6.033
_cell_length_c 23.748
_cell_angle_alpha 86.04
_cell_angle_beta 85.59
_cell_angle_gamma 75.24
_space_group_name_H-M_alt 'P 1'
_space_group_IT_number 1
loop_
_space_group_symop_operation_xyz
'x,y,z'
loop_
_atom_site_label
_atom_site_fract_x
_atom_site_fract_y
_atom_site_fract_z
Ru1 0.346 0.242 0.197
Ru2 0.654 0.758 0.803
Ru3 0.500 0.000 0.000
O1 0.397 0.118 0.280
O2 0.000 0.000 0.000
O3 0.000 0.500 0.500
O4 0.306 0.358 0.117
O5 0.154 0.760 0.801
O6 0.584 0.482 0.408
O7 0.487 0.083 0.825
O8 0.513 0.917 0.175
O9 0.174 0.561 0.218
O10 0.607 0.723 0.047
O11 0.393 0.277 0.953
O12 0.603 0.882 0.720
O13 0.416 0.518 0.592
O14 0.044 0.061 0.559
O15 0.694 0.642 0.883
O16 0.033 0.744 0.324
O17 0.846 0.240 0.199
O18 0.967 0.256 0.676
O19 0.956 0.939 0.441
O20 0.826 0.439 0.782
Sr1 0.901 0.223 0.875
Sr2 0.099 0.777 0.125
Sr3 0.866 0.148 0.333
Sr4 0.166 0.670 0.936
Sr5 0.834 0.330 0.064
Sr6 0.134 0.852 0.667
La1 0.581 0.713 0.262
La2 0.365 0.755 0.514
La3 0.635 0.245 0.486
La4 0.419 0.287 0.738
Mg1 0.963 0.366 0.598
Mg2 0.037 0.634 0.402
# E_form	-2.722	eV per atom
# space-group type	P-1, No. 2

~~~~~

A plane-wave DFT calculation with GGA+U was carried out for crystalline MgFeSi2O6 at its relaxed geometry.

Results
Crystal system: orthorhombic
DFT total energy (eV/atom): -7.336
ΔE to the lowest computed polymorph (meV per atom): 0
Total moment (μB per formula unit): 4.00
Energy of formation (meV/atom): -2913

abc: 5.3042 18.5340 9.0517
angles: 90.00 90.00 90.00
With the nearest neighbours (Å) after each atom.
Space group Pbca (No. 61)
Asymmetric unit:
Mg1 0.1170 0.1247 0.1538 x8  6 O 2.06-2.20
Fe1 0.1229 0.1230 0.5136 x8  4 O 2.03-2.18
Si1 0.0622 0.7281 0.6605 x8  4 O 1.62-1.67
Si2 0.2105 0.0253 0.8361 x8  4 O 1.62-1.68
O1 0.0557 0.6840 0.1639 x8  1 Si 1.63
O2 0.0637 0.6883 0.5014 x8  1 Si 1.62
O3 0.0827 0.5520 0.7064 x8  2 Si 1.68
O4 0.1675 0.1974 0.7322 x8  2 Si 1.66-1.67
O5 0.2032 0.5659 0.9860 x8  1 Si 1.62
O6 0.2096 0.5630 0.3357 x8  1 Si 1.64

~~~~~

DFT (PBE) results for a relaxed structure of BN.

Calculated values
- ΔE to the lowest computed polymorph: 0.743 eV/atom
- SG: P1
- Total magnetic moment: 0.0 μB per cell

```
BN
1.0
-1.601 -9.910 3.865
-0.583 -2.965 -9.997
10.318 -2.213 -1.532
B N
50 50
Direct
0.609 0.269 0.585 B
0.049 0.815 0.544 B
0.357 0.188 0.648 B
0.861 0.929 0.426 B
0.844 0.856 0.882 B
0.622 0.142 0.441 B
0.908 0.184 0.383 B
0.518 0.738 0.244 B
0.052 0.914 0.750 B
0.933 0.026 0.911 B
0.354 0.544 0.876 B
0.733 0.951 0.772 B
0.216 0.693 0.966 B
0.070 0.677 0.761 B
0.535 0.446 0.067 B
0.235 0.860 0.141 B
0.427 0.657 0.060 B
0.812 0.155 0.179 B
0.518 0.891 0.132 B
0.811 0.366 0.776 B
0.670 0.503 0.454 B
0.060 0.436 0.792 B
0.971 0.242 0.524 B
0.673 0.004 0.533 B
0.481 0.053 0.969 B
0.278 0.356 0.792 B
0.726 0.460 0.671 B
0.226 0.977 0.258 B
0.143 0.176 0.701 B
0.142 0.306 0.994 B
0.601 0.927 0.378 B
0.725 0.162 0.566 B
0.606 0.351 0.315 B
0.962 0.268 0.925 B
0.736 0.693 0.744 B
0.174 0.204 0.210 B
0.079 0.798 0.951 B
0.195 0.008 0.589 B
0.990 0.292 0.172 B
0.650 0.309 0.937 B
0.128 0.581 0.576 B
0.446 0.078 0.545 B
0.071 0.296 0.384 B
0.711 0.015 0.015 B
0.549 0.579 0.246 B
0.295 0.117 0.046 B
0.132 0.359 0.508 B
0.078 0.028 0.395 B
0.178 0.726 0.378 B
0.837 0.700 0.466 B
0.282 0.994 0.134 N
0.177 0.485 0.514 N
0.218 0.592 0.345 N
0.611 0.228 0.330 N
0.373 0.459 0.802 N
0.446 0.768 0.124 N
0.723 0.275 0.853 N
0.012 0.313 0.041 N
0.180 0.794 0.041 N
0.123 0.944 0.500 N
0.317 0.073 0.581 N
0.926 0.608 0.195 N
0.768 0.070 0.111 N
0.072 0.256 0.611 N
0.983 0.891 0.892 N
0.100 0.301 0.254 N
0.648 0.412 0.569 N
0.760 0.609 0.441 N
0.714 0.585 0.706 N
0.337 0.638 0.958 N
0.162 0.369 0.865 N
0.548 0.870 0.270 N
0.864 0.650 0.118 N
0.580 0.351 0.025 N
0.790 0.980 0.906 N
0.754 0.807 0.799 N
0.574 0.977 0.020 N
0.042 0.799 0.690 N
0.174 0.085 0.301 N
0.100 0.682 0.895 N
0.942 0.042 0.386 N
0.222 0.221 0.080 N
0.502 0.552 0.120 N

Assignment >
Could you count the lines further above that contain the word "lowest" and give the number alone?

Result >
2